• Input:
┌──
(1)
DFT (ωB97M-V/def2-TZVPD) results for C45H43Cl5MoN4OTe as an isolated structure at a distorted geometry.

Geometry as XYZ:
```
100
Properties=species:S:1:pos:R:3:mulliken_spin:R:1
Mo 2.0438 0.0407 -0.3649 2.3823
C 1.6099 0.2966 2.2901 -0.0845
N 1.3662 -1.0250 2.2608 0.0162
C 2.3926 -1.8951 1.8372 0.1049
C 0.0727 -1.5517 2.2371 -0.0885
C -0.6093 -1.6263 3.4535 0.0085
C -1.6811 -2.4790 3.6090 -0.0057
C -2.0627 -3.3014 2.5524 0.0180
C -1.4495 -3.1940 1.3212 0.0179
C -0.3861 -2.3014 1.1041 0.0496
N 0.0105 -1.9326 -0.1403 0.0050
C 0.3499 -2.7287 -1.1309 -0.0218
C 0.4629 -4.1348 -0.9060 -0.0095
C 0.4550 -5.0423 -1.9286 0.0001
C 0.4083 -4.5911 -3.2452 0.0057
C 0.5460 -3.2313 -3.4905 -0.0024
C 0.5780 -2.2835 -2.4822 -0.0444
N 1.0472 -1.0081 -2.8879 0.0702
C 0.2716 0.1872 -3.0304 0.0178
C 2.3901 -0.8716 -2.8153 0.0433
H 2.6033 0.6062 2.5912 0.0067
H 0.7821 0.9245 2.6131 0.0098
H 1.8201 0.5276 1.0741 0.0658
H 2.0860 -2.9348 1.8664 0.0034
H 3.3108 -1.7421 2.4004 -0.0109
H 2.5986 -1.5902 0.7849 -0.0611
H -0.2297 -1.0602 4.2917 -0.0002
H -2.1939 -2.5303 4.5554 0.0001
H -2.8644 -4.0100 2.6898 0.0009
H -1.8121 -3.7712 0.4827 -0.0007
H 0.5209 -4.4668 0.1195 -0.0012
H 0.4891 -6.0981 -1.7127 -0.0002
H 0.3520 -5.2918 -4.0640 0.0003
H 0.6612 -2.8882 -4.5084 0.0007
H 0.8451 0.8860 -3.6572 -0.0239
H 0.6560 0.3703 -1.0115 0.5289
H -0.6795 -0.0589 -3.5257 0.0005
H 2.8144 -0.0178 -3.3239 -0.0108
H 2.9638 -1.7828 -2.8185 -0.0042
H 2.5852 -0.5497 -1.6423 -0.0884
Cl 3.6279 -3.1475 -0.8959 0.0033
C 4.7190 -1.9294 -0.3984 0.0289
C 4.3401 -0.7418 0.1327 0.0069
C 5.1299 0.2558 0.5914 0.0348
Cl 4.5578 1.7178 1.2257 0.0105
C 6.5151 0.0050 0.5457 -0.0078
Cl 7.6105 1.1796 1.1509 0.0017
C 6.9850 -1.1980 0.0206 0.0029
Cl 8.6739 -1.5083 -0.0341 0.0004
C 6.0987 -2.1719 -0.4451 0.0010
Cl 6.6851 -3.6722 -1.0435 0.0010
C -5.5044 2.3656 4.6400 -0.0003
C -4.3907 2.0164 3.7035 0.0035
C -3.2037 2.7316 3.6299 0.0001
C -2.1933 2.3733 2.7398 0.0153
C -0.9186 3.1605 2.7079 -0.0015
C -2.3653 1.2743 1.8957 -0.0052
Te -0.9615 0.5155 0.4355 0.1294
N -0.0607 0.8087 -1.7711 0.0281
C 0.2820 2.0239 -1.3519 -0.1831
O -0.2361 2.3214 -0.2251 0.0017
C 1.3835 2.8186 -1.8865 -0.0963
C 1.2816 3.8783 -2.7819 0.0737
C 2.4363 4.4910 -3.2394 0.0071
C 3.6824 4.0787 -2.7930 -0.0029
C 3.7808 3.0421 -1.8781 0.0067
C 2.6386 2.4382 -1.4313 0.1185
C -2.5157 0.4251 -1.0280 0.0734
C -2.6115 -0.7986 -1.6858 -0.0247
C -3.5821 -1.0191 -2.6403 0.0079
C -4.4615 0.0071 -2.9539 -0.0030
C -4.3373 1.2320 -2.3288 0.0073
C -3.3587 1.4796 -1.3628 -0.0362
C -3.2528 2.8633 -0.8005 0.0166
C -3.5208 0.4965 2.0223 -0.0129
C -3.7327 -0.7862 1.2821 0.0068
C -4.5154 0.8922 2.8989 -0.0014
H -5.4573 3.4009 4.9631 0.0001
H -5.4540 1.7272 5.5219 0.0005
H -6.4666 2.1810 4.1662 0.0002
H -3.0484 3.5856 4.2741 0.0004
H -1.1088 4.2008 2.4432 0.0007
H -0.2270 2.7506 1.9694 0.0083
H -0.4438 3.1561 3.6894 0.0002
H 0.3100 4.2079 -3.1199 0.0071
H 2.3576 5.2950 -3.9546 0.0003
H 4.5781 4.5453 -3.1713 -0.0003
H 4.7359 2.6943 -1.5249 -0.0016
H 2.6864 1.5423 -0.7553 -0.1266
H -1.9152 -1.5857 -1.4332 0.0015
H -3.6500 -1.9778 -3.1300 -0.0001
H -5.2289 -0.1444 -3.6965 -0.0001
H -5.0104 2.0350 -2.5931 0.0002
H -2.9524 3.5506 -1.5948 -0.0040
H -2.5268 2.9294 0.0072 -0.0042
H -4.2201 3.1991 -0.4277 0.0005
H -2.7866 -1.1821 0.9182 0.0036
H -4.4143 -0.6517 0.4436 0.0026
H -4.1794 -1.5217 1.9469 0.0003
H -5.4118 0.2938 2.9660 0.0001
```

The value obtained for the LUMO energy (alpha / beta) is -3.36 / -3.78 eV. Its multiplicity is 4. Its HOMO energy (alpha / beta) is -9.254 / -9.440 eV. The value obtained for the orbital gap (alpha / beta) is 0.2165 / 0.2079 hartree. As for the molar mass: 1056.67 Da. As for the charge: +1.

---

(2)
DFT (ωB97M-V/def2-TZVPD) results for C3H6O2 as an isolated structure.

Geometry as XYZ:
```
11
Properties=species:S:1:pos:R:3:nbo_charge:R:1
O -1.7644 0.5838 -1.0866 -0.7085
C -1.1304 0.5820 0.0380 -0.0863
C 0.1931 -0.1741 0.0563 0.5012
C 1.2201 -0.7836 0.8801 -0.1765
O 0.5087 -1.3952 -0.2558 -0.3958
└──

• Job:
The reader should quote every line further up that contains the word "orbital".

• Response:
The value obtained for the LUMO energy (alpha / beta) is -3.36 / -3.78 eV. Its multiplicity is 4. Its HOMO energy (alpha / beta) is -9.254 / -9.440 eV. The value obtained for the orbital gap (alpha / beta) is 0.2165 / 0.2079 hartree. As for the molar mass: 1056.67 Da. As for the charge: +1.